Given
~~~
1.
Computed, not measured: a molecular structure, C14H14ClHfNO2 in a non-equilibrium geometry, with the ωB97M-V functional and the def2-TZVPD basis.

Computed properties:
LUMO ... -9.53 eV
Molecular weight ... 442.214 g mol⁻¹
Highest occupied orbital energy ... -15.82 eV
Net charge ... +2

Each line ends with the Löwdin charge.
Positions of all 33 atoms, in Å:
Cl -1.1387 2.3055 -1.9588  0.50
C -0.8072 -1.6398 -1.9577  -0.15
C 0.5769 -1.7756 -1.6325  -0.17
C 1.3289 -0.7773 -2.3911  -0.16
H 1.0425 -2.5782 -1.0427  0.15
C 0.3726 -0.1254 -3.2918  -0.38
C -0.9536 -0.6104 -2.9752  -0.11
H -1.8999 -0.4139 -3.5496  0.17
H -1.5797 -2.3576 -1.6677  0.15
H 2.4340 -0.5959 -2.3043  0.15
C 0.7631 0.8848 -4.3431  -0.02
Hf -0.0529 0.4003 -0.9790  1.27
C 2.0206 1.1299 -0.3071  0.06
O 2.8936 1.5666 0.3324  0.23
C -1.8858 1.5165 -0.1612  -0.40
O -2.6071 2.1386 0.5791  0.09
H 1.7353 1.3044 -4.0204  0.10
H -0.0313 1.6527 -4.3814  0.07
H 0.8952 0.4397 -5.3435  0.12
N -0.7652 -0.9501 0.8053  -0.02
C -0.4287 -0.4528 2.1350  -0.33
C 0.8837 -0.6452 2.5513  -0.05
C 1.2703 -0.1441 3.8073  -0.03
C 0.3105 0.5516 4.5759  -0.03
C -1.0291 0.7073 4.1431  -0.01
C -1.3981 0.1781 2.8945  -0.03
H -0.5484 -1.9292 0.8571  0.11
H -1.7896 -1.0919 0.7759  0.13
H 1.6058 -1.1139 1.9002  0.11
H 2.2917 -0.2478 4.1677  0.12
H 0.6138 1.0123 5.5082  0.12
H -1.7261 1.2822 4.7597  0.13
H -2.3969 0.3788 2.5145  0.11

---

2.
Computed, not measured: a molecular structure, C14H14ClMgNO2 in a non-equilibrium geometry, with the ωB97M-V functional and the def2-TZVPD basis.

Computed properties:
LUMO ... 5.00 eV
Molecular weight ... 288.029 g mol⁻¹
Highest occupied orbital energy ... 0.52 eV
Net charge ... -2
Relative energy (zero: lowest compared OMol25 entry of this formula, charge and spin) ... 11.24 kcal per mole

Each line ends with the Löwdin charge.
Positions of all 33 atoms, in Å:
C -2.4877 1.9684 -0.9436  -0.21
C -2.0266 0.9171 -1.7871  -0.28
C -0.6080 1.0452 -1.9472  -0.24
H -2.6367 0.1002 -2.1729  0.04
C -0.2079 2.2181 -1.2327  -0.23
C -1.3666 2.7986 -0.6290  -0.22
H -1.3756 3.6640 0.0284  0.05
H -3.5128 2.1345 -0.6199  0.05
H 0.0391 0.3786 -2.5253  0.05
H 0.8116 2.5835 -1.1462  0.05
Mg -0.3178 -1.3741 -0.2346  0.38
Cl -2.5814 -1.4046 0.1916  -0.06
C 0.0252 -3.4538 -0.1281  -0.25
C 1.2351 -2.8288 -0.5570  -0.25
C 1.0860 -2.4639 -1.9309  -0.19
H 2.1369 -2.7047 0.0330  0.09
C -0.1838 -2.9172 -2.3704  -0.17
C -0.8673 -3.4563 -1.2539  -0.26
H -1.8600 -3.8908 -1.2883  0.08
H -0.2237 -3.7486 0.8898  0.10
H 1.8929 -2.1219 -2.5718  0.09
H -0.5064 -2.9916 -3.4037  0.08
O 1.3454 -0.5399 0.5979  -0.09
C 1.0991 0.3707 1.4410  -0.48
C 2.1233 0.9704 2.3917  -0.12
C 1.3777 2.1333 3.0071  -0.12
C -0.0060 2.0818 2.3278  -0.50
O -0.8321 2.9608 2.4100  0.02
N -0.1141 0.9282 1.5534  0.18
H 2.4305 0.2411 3.1490  0.11
H 3.0033 1.3041 1.8375  0.11
H 1.2482 1.9997 4.0876  0.10
H 1.8601 3.0978 2.7965  0.11

---

3.
Computed, not measured: a molecular structure, C14H14Co2NO6 in a non-equilibrium geometry, with the ωB97M-V functional and the def2-TZVPD basis.

Computed properties:
LUMO ... 2.69 eV
Molecular weight ... 410.133 g mol⁻¹
Highest occupied orbital energy ... -3.80 eV
Net charge ... -1

Each line ends with the Löwdin charge.
Positions of all 37 atoms, in Å:
C 3.7449 0.0943 -0.2322  -0.07
C 3.4052 0.9708 -1.4247  -0.43
C 3.2181 2.4630 -1.0786  -0.15
C 2.1275 2.9625 -2.0424  -0.16
C 1.3949 1.6934 -2.5340  -0.22
N 2.1670 0.5895 -2.0376  -0.05
H 4.6467 0.4532 0.2756  0.07
H 2.9130 0.0860 0.4854  0.08
H 3.9277 -0.9380 -0.5496  0.07
H 4.2370 0.8826 -2.1490  0.13
H 2.8560 2.5466 -0.0478  0.11
H 4.1576 3.0095 -1.1826  0.10
H 1.4367 3.6616 -1.5608  0.10
H 2.5960 3.4344 -2.9131  0.10
H 0.3866 1.6500 -2.0978  0.09
H 1.2795 1.6817 -3.6324  0.10
H 2.1348 -0.2774 -2.5386  0.12
O 0.1246 0.0252 4.2008  0.05
C -0.7317 -0.5891 3.7184  -0.20
Co -2.0184 -1.4786 2.9140  0.02
C -1.4772 -3.1331 2.6547  -0.18
O -1.1318 -4.2363 2.5119  0.05
C -3.4570 -1.6056 3.9393  -0.19
O -4.4047 -1.7047 4.5931  0.06
~~~

What to do
Quote everything earlier on with every line break kept.

Here it is
1.
Computed, not measured: a molecular structure, C14H14ClHfNO2 in a non-equilibrium geometry, with the ωB97M-V functional and the def2-TZVPD basis.

Computed properties:
LUMO ... -9.53 eV
Molecular weight ... 442.214 g mol⁻¹
Highest occupied orbital energy ... -15.82 eV
Net charge ... +2

Each line ends with the Löwdin charge.
Positions of all 33 atoms, in Å:
Cl -1.1387 2.3055 -1.9588  0.50
C -0.8072 -1.6398 -1.9577  -0.15
C 0.5769 -1.7756 -1.6325  -0.17
C 1.3289 -0.7773 -2.3911  -0.16
H 1.0425 -2.5782 -1.0427  0.15
C 0.3726 -0.1254 -3.2918  -0.38
C -0.9536 -0.6104 -2.9752  -0.11
H -1.8999 -0.4139 -3.5496  0.17
H -1.5797 -2.3576 -1.6677  0.15
H 2.4340 -0.5959 -2.3043  0.15
C 0.7631 0.8848 -4.3431  -0.02
Hf -0.0529 0.4003 -0.9790  1.27
C 2.0206 1.1299 -0.3071  0.06
O 2.8936 1.5666 0.3324  0.23
C -1.8858 1.5165 -0.1612  -0.40
O -2.6071 2.1386 0.5791  0.09
H 1.7353 1.3044 -4.0204  0.10
H -0.0313 1.6527 -4.3814  0.07
H 0.8952 0.4397 -5.3435  0.12
N -0.7652 -0.9501 0.8053  -0.02
C -0.4287 -0.4528 2.1350  -0.33
C 0.8837 -0.6452 2.5513  -0.05
C 1.2703 -0.1441 3.8073  -0.03
C 0.3105 0.5516 4.5759  -0.03
C -1.0291 0.7073 4.1431  -0.01
C -1.3981 0.1781 2.8945  -0.03
H -0.5484 -1.9292 0.8571  0.11
H -1.7896 -1.0919 0.7759  0.13
H 1.6058 -1.1139 1.9002  0.11
H 2.2917 -0.2478 4.1677  0.12
H 0.6138 1.0123 5.5082  0.12
H -1.7261 1.2822 4.7597  0.13
H -2.3969 0.3788 2.5145  0.11

---

2.
Computed, not measured: a molecular structure, C14H14ClMgNO2 in a non-equilibrium geometry, with the ωB97M-V functional and the def2-TZVPD basis.

Computed properties:
LUMO ... 5.00 eV
Molecular weight ... 288.029 g mol⁻¹
Highest occupied orbital energy ... 0.52 eV
Net charge ... -2
Relative energy (zero: lowest compared OMol25 entry of this formula, charge and spin) ... 11.24 kcal per mole

Each line ends with the Löwdin charge.
Positions of all 33 atoms, in Å:
C -2.4877 1.9684 -0.9436  -0.21
C -2.0266 0.9171 -1.7871  -0.28
C -0.6080 1.0452 -1.9472  -0.24
H -2.6367 0.1002 -2.1729  0.04
C -0.2079 2.2181 -1.2327  -0.23
C -1.3666 2.7986 -0.6290  -0.22
H -1.3756 3.6640 0.0284  0.05
H -3.5128 2.1345 -0.6199  0.05
H 0.0391 0.3786 -2.5253  0.05
H 0.8116 2.5835 -1.1462  0.05
Mg -0.3178 -1.3741 -0.2346  0.38
Cl -2.5814 -1.4046 0.1916  -0.06
C 0.0252 -3.4538 -0.1281  -0.25
C 1.2351 -2.8288 -0.5570  -0.25
C 1.0860 -2.4639 -1.9309  -0.19
H 2.1369 -2.7047 0.0330  0.09
C -0.1838 -2.9172 -2.3704  -0.17
C -0.8673 -3.4563 -1.2539  -0.26
H -1.8600 -3.8908 -1.2883  0.08
H -0.2237 -3.7486 0.8898  0.10
H 1.8929 -2.1219 -2.5718  0.09
H -0.5064 -2.9916 -3.4037  0.08
O 1.3454 -0.5399 0.5979  -0.09
C 1.0991 0.3707 1.4410  -0.48
C 2.1233 0.9704 2.3917  -0.12
C 1.3777 2.1333 3.0071  -0.12
C -0.0060 2.0818 2.3278  -0.50
O -0.8321 2.9608 2.4100  0.02
N -0.1141 0.9282 1.5534  0.18
H 2.4305 0.2411 3.1490  0.11
H 3.0033 1.3041 1.8375  0.11
H 1.2482 1.9997 4.0876  0.10
H 1.8601 3.0978 2.7965  0.11

---

3.
Computed, not measured: a molecular structure, C14H14Co2NO6 in a non-equilibrium geometry, with the ωB97M-V functional and the def2-TZVPD basis.

Computed properties:
LUMO ... 2.69 eV
Molecular weight ... 410.133 g mol⁻¹
Highest occupied orbital energy ... -3.80 eV
Net charge ... -1

Each line ends with the Löwdin charge.
Positions of all 37 atoms, in Å:
C 3.7449 0.0943 -0.2322  -0.07
C 3.4052 0.9708 -1.4247  -0.43
C 3.2181 2.4630 -1.0786  -0.15
C 2.1275 2.9625 -2.0424  -0.16
C 1.3949 1.6934 -2.5340  -0.22
N 2.1670 0.5895 -2.0376  -0.05
H 4.6467 0.4532 0.2756  0.07
H 2.9130 0.0860 0.4854  0.08
H 3.9277 -0.9380 -0.5496  0.07
H 4.2370 0.8826 -2.1490  0.13
H 2.8560 2.5466 -0.0478  0.11
H 4.1576 3.0095 -1.1826  0.10
H 1.4367 3.6616 -1.5608  0.10
H 2.5960 3.4344 -2.9131  0.10
H 0.3866 1.6500 -2.0978  0.09
H 1.2795 1.6817 -3.6324  0.10
H 2.1348 -0.2774 -2.5386  0.12
O 0.1246 0.0252 4.2008  0.05
C -0.7317 -0.5891 3.7184  -0.20
Co -2.0184 -1.4786 2.9140  0.02
C -1.4772 -3.1331 2.6547  -0.18
O -1.1318 -4.2363 2.5119  0.05
C -3.4570 -1.6056 3.9393  -0.19
O -4.4047 -1.7047 4.5931  0.06